**To do**
Give back the whole of the rows further down character by character, please.

**Listing**
<<<
Below is an optimized crystal structure of La6Cd5Sn, with properties calculated at the PBE level.

Structure (POSCAR):
```
La6Cd5Sn
1.0
2.778 -8.367 0.000
2.778 8.367 0.000
0.000 0.000 7.885
La Cd Sn
6 5 1
direct
0.000 0.000 0.243
0.000 0.000 0.757
0.336 0.664 0.250
0.336 0.664 0.750
0.664 0.336 0.250
0.664 0.336 0.750
0.167 0.833 0.500
0.175 0.825 0.000
0.500 0.500 0.500
0.825 0.175 0.000
0.833 0.167 0.500
0.500 0.500 0.000
```

Calculated values
- SG: Cmmm (65)
- Uncorrected energy: -3.59 eV per atom
- Volume: 30.546 A^3/atom

Below is an optimized crystal structure of Be5Te3, with properties calculated at the PBE level.

Structure (POSCAR):
```
Be5Te3
1.0
3.642 0.000 0.000
0.000 3.642 0.000
0.000 0.000 12.129
Be Te
5 3
direct
0.000 0.000 0.000
0.000 0.000 0.176
0.000 0.000 0.824
0.500 0.500 0.413
0.500 0.500 0.587
0.000 0.000 0.500
0.500 0.500 0.218
0.500 0.500 0.782
```

Calculated values
- SG: P4/mmm (123)
- Uncorrected energy: -2.99 eV per atom
- Volume: 20.106 A^3/atom
- Raw formation energy: 0.520 eV/atom

Below is an optimized crystal structure of PaTeAs, with properties calculated at the PBE level.

Structure (POSCAR):
```
PaTeAs
1.0
-1.922 1.922 4.927
1.922 -1.922 4.927
1.922 1.922 -4.927
Pa Te As
1 1 1
direct
0.000 0.000 0.000
0.331 0.331 0.000
0.633 0.633 0.000
```

Calculated values
- SG: I4mm (107)
- Uncorrected energy: -6.54 eV per atom
- Volume: 24.256 A^3/atom
- Raw formation energy: -0.780 eV/atom

Q: Which of these has the lowest volume?
A: Be5Te3

Q: Among the records above, which one has the highest volume?
A: La6Cd5Sn

Q: uncorrected energy of number 1 (La6Cd5Sn)?
A: -3.59 eV per atom

Q: The highest uncorrected energy belongs to which entry?
A: Be5Te3

* * * * *

First-principles (PBE+U) data for an optimized crystal structure of PuCoOsO6, as listed in Alexandria.

Results
Total moment ... 5.49 μB/cell
Calculated total energy ... -149.9 eV/cell
Volume ... 211.3 Å³/cell

Lattice parameters (Å, degrees): 5.2029 5.2029 9.0144 90.00 90.00 120.00
Positions (direct):
O  0.3060  0.9871  0.1219
O  0.6811  0.6940  0.1219
Os  0.0000  0.0000  0.5000
Pu  0.3333  0.6667  0.7500
O  0.6940  0.0129  0.8781
O  0.0129  0.6940  0.3781
O  0.0129  0.3189  0.1219
O  0.3189  0.0129  0.6219
Os  0.0000  0.0000  0.0000
O  0.3189  0.3060  0.8781
O  0.3060  0.3189  0.3781
O  0.6940  0.6811  0.6219
Co  0.6667  0.3333  0.7500
O  0.9871  0.3060  0.6219
O  0.9871  0.6811  0.8781
O  0.6811  0.9871  0.3781
Co  0.3333  0.6667  0.2500
Pu  0.6667  0.3333  0.2500
>>>

**Here it is**
Below is an optimized crystal structure of La6Cd5Sn, with properties calculated at the PBE level.

Structure (POSCAR):
```
La6Cd5Sn
1.0
2.778 -8.367 0.000
2.778 8.367 0.000
0.000 0.000 7.885
La Cd Sn
6 5 1
direct
0.000 0.000 0.243
0.000 0.000 0.757
0.336 0.664 0.250
0.336 0.664 0.750
0.664 0.336 0.250
0.664 0.336 0.750
0.167 0.833 0.500
0.175 0.825 0.000
0.500 0.500 0.500
0.825 0.175 0.000
0.833 0.167 0.500
0.500 0.500 0.000
```

Calculated values
- SG: Cmmm (65)
- Uncorrected energy: -3.59 eV per atom
- Volume: 30.546 A^3/atom

Below is an optimized crystal structure of Be5Te3, with properties calculated at the PBE level.

Structure (POSCAR):
```
Be5Te3
1.0
3.642 0.000 0.000
0.000 3.642 0.000
0.000 0.000 12.129
Be Te
5 3
direct
0.000 0.000 0.000
0.000 0.000 0.176
0.000 0.000 0.824
0.500 0.500 0.413
0.500 0.500 0.587
0.000 0.000 0.500
0.500 0.500 0.218
0.500 0.500 0.782
```

Calculated values
- SG: P4/mmm (123)
- Uncorrected energy: -2.99 eV per atom
- Volume: 20.106 A^3/atom
- Raw formation energy: 0.520 eV/atom

Below is an optimized crystal structure of PaTeAs, with properties calculated at the PBE level.

Structure (POSCAR):
```
PaTeAs
1.0
-1.922 1.922 4.927
1.922 -1.922 4.927
1.922 1.922 -4.927
Pa Te As
1 1 1
direct
0.000 0.000 0.000
0.331 0.331 0.000
0.633 0.633 0.000
```

Calculated values
- SG: I4mm (107)
- Uncorrected energy: -6.54 eV per atom
- Volume: 24.256 A^3/atom
- Raw formation energy: -0.780 eV/atom

Q: Which of these has the lowest volume?
A: Be5Te3

Q: Among the records above, which one has the highest volume?
A: La6Cd5Sn

Q: uncorrected energy of number 1 (La6Cd5Sn)?
A: -3.59 eV per atom

Q: The highest uncorrected energy belongs to which entry?
A: Be5Te3

* * * * *

First-principles (PBE+U) data for an optimized crystal structure of PuCoOsO6, as listed in Alexandria.

Results
Total moment ... 5.49 μB/cell
Calculated total energy ... -149.9 eV/cell
Volume ... 211.3 Å³/cell

Lattice parameters (Å, degrees): 5.2029 5.2029 9.0144 90.00 90.00 120.00
Positions (direct):
O  0.3060  0.9871  0.1219
O  0.6811  0.6940  0.1219
Os  0.0000  0.0000  0.5000
Pu  0.3333  0.6667  0.7500
O  0.6940  0.0129  0.8781
O  0.0129  0.6940  0.3781
O  0.0129  0.3189  0.1219
O  0.3189  0.0129  0.6219
Os  0.0000  0.0000  0.0000
O  0.3189  0.3060  0.8781
O  0.3060  0.3189  0.3781
O  0.6940  0.6811  0.6219
Co  0.6667  0.3333  0.7500
O  0.9871  0.3060  0.6219
O  0.9871  0.6811  0.8781
O  0.6811  0.9871  0.3781
Co  0.3333  0.6667  0.2500
Pu  0.6667  0.3333  0.2500